-- Listing --
........
Entry 1:
The following is a quantum chemistry calculation of a cluster of 6 separate species, C52H69Br2N3O16 in total at a distorted geometry, from the Open Molecules 2025 dataset.

Values from the calculation:
HOMO-LUMO gap	6.5	eV
SMILES	CCCCNc1c(NCC)c(/C(Br)=C(\C)Br)c(CCO)c2c1C(=O)c1c(cc(N(C)C(C)=O)c(CCC(=O)O)c1C)C2=O.O=C1CCCO1.O=C1CCCO1.O=C1CCCO1.O=C1CCCO1.O=C1CCCO1
energy	-232330.086	eV
charge	0
LUMO	-1.6	eV

Each line ends with the Löwdin charge.
Geometry (Å):
C1 3.378 1.022 0.786  -0.145
C2 2.483 0.420 -0.461  -0.254
C3 3.373 -0.486 -1.527  -0.182
C4 2.708 -0.500 -3.042  -0.197
N1 1.936 -1.784 -3.346  -0.042
C5 1.026 -2.183 -2.203  -0.051
C6 1.496 -3.462 -1.266  -0.058
N2 2.794 -4.188 -1.555  -0.073
C7 2.490 -5.438 -2.355  -0.250
C8 3.686 -6.521 -2.023  -0.102
C9 0.560 -3.934 0.039  -0.062
C10 1.158 -5.180 0.905  -0.617
Br1 2.641 -5.121 2.247  0.625
C11 0.523 -6.536 0.657  -0.597
C12 -0.743 -6.743 -0.398  -0.127
Br2 1.121 -8.226 1.615  0.592
C13 -0.835 -3.224 0.497  -0.026
C14 -1.829 -3.551 1.715  -0.160
C15 -1.572 -4.796 2.696  -0.230
O1 -2.465 -4.753 3.902  -0.145
C16 -1.297 -1.923 -0.456  0.029
C17 -0.371 -1.442 -1.763  0.044
C18 -0.814 -0.121 -2.686  -0.178
O2 -0.543 -0.096 -4.005  -0.046
C19 -1.629 1.103 -1.890  0.016
C20 -2.555 0.615 -0.586  -0.005
C21 -3.381 1.803 0.200  0.075
C22 -3.318 3.407 -0.268  -0.077
N3 -4.059 4.529 0.427  -0.150
C23 -5.264 4.046 1.204  -0.115
C24 -3.122 5.271 1.387  -0.263
C25 -3.112 6.913 1.584  -0.023
O3 -2.269 4.495 2.109  -0.041
C26 -2.405 3.853 -1.596  -0.011
C27 -2.397 5.451 -2.075  -0.132
C28 -3.237 5.533 -3.504  -0.102
C29 -4.767 4.935 -3.406  -0.258
O4 -5.014 3.682 -3.874  -0.055
O5 -5.946 5.671 -2.886  -0.029
C30 -1.536 2.670 -2.390  -0.051
C31 -0.618 3.110 -3.684  -0.096
C32 -2.631 -1.006 -0.178  -0.199
O6 -3.802 -1.422 0.304  -0.046
H1 3.381 0.229 1.676  0.089
H2 4.469 1.317 0.449  0.064
H3 2.767 1.954 1.206  0.082
H4 1.910 1.303 -0.989  0.102
H5 1.677 -0.305 0.032  0.100
H6 3.628 -1.552 -1.110  0.106
H7 4.408 0.090 -1.641  0.113
H8 3.605 -0.402 -3.817  0.127
H9 2.009 0.443 -3.247  0.110
H10 2.588 -2.554 -3.619  0.103
H11 3.340 -4.394 -0.679  0.090
H12 2.416 -5.191 -3.518  0.131
H13 1.412 -5.849 -2.062  0.096
H14 3.774 -7.330 -2.875  0.072
H15 3.590 -6.993 -0.938  0.091
H16 4.696 -5.907 -2.012  0.089
H17 -0.709 -6.024 -1.322  0.091
H18 -1.800 -6.578 0.112  0.089
H19 -0.772 -7.843 -0.835  0.048
H20 -1.914 -2.569 2.389  0.144
H21 -2.926 -3.681 1.259  0.143
H22 -0.472 -4.892 3.150  0.120
H23 -1.848 -5.826 2.163  0.117
H24 -2.917 -3.860 3.967  0.093
H25 -4.050 1.493 1.128  0.098
H26 -5.709 4.970 1.814  0.109
H27 -4.963 3.254 2.038  0.099
H28 -6.143 3.633 0.523  0.113
H29 -2.323 7.236 2.413  0.099
H30 -4.172 7.352 1.889  0.093
H31 -2.789 7.462 0.588  0.088
H32 -1.287 5.775 -2.345  0.125
H33 -2.829 6.172 -1.246  0.096
H34 -3.331 6.642 -3.920  0.137
H35 -2.701 4.918 -4.374  0.120
H36 -6.459 5.114 -2.220  0.124
H37 -0.963 2.507 -4.645  0.098
H38 0.535 2.874 -3.530  0.090
H39 -0.667 4.271 -3.928  0.071
O7 -2.445 6.721 -7.214  0.089
C33 -3.043 5.749 -7.644  -0.466
C34 -4.533 5.601 -7.703  -0.086
C35 -4.695 4.120 -7.932  -0.164
C36 -3.438 3.762 -8.681  -0.169
O8 -2.438 4.650 -8.184  0.027
H40 -4.918 6.187 -8.542  0.136
H41 -4.998 5.915 -6.765  0.126
H42 -5.608 3.858 -8.474  0.122
H43 -4.713 3.598 -6.967  0.118
H44 -3.539 3.918 -9.760  0.128
H45 -3.135 2.727 -8.499  0.130
O9 6.147 0.820 1.843  0.077
C37 6.467 1.938 2.212  -0.460
C38 6.596 2.377 3.639  -0.083
C39 6.616 3.879 3.507  -0.171
C40 7.224 4.083 2.145  -0.172
O10 6.801 2.960 1.372  0.026
H46 7.535 1.992 4.048  0.137
H47 5.746 2.038 4.235  0.134
H48 7.169 4.381 4.305  0.120
H49 5.588 4.262 3.516  0.124
H50 8.319 4.093 2.175  0.129
H51 6.874 5.007 1.675  0.128
O11 -4.063 9.544 3.407  0.090
C41 -3.558 9.289 4.488  -0.461
C42 -4.273 9.298 5.805  -0.086
C43 -3.128 9.309 6.786  -0.169
C44 -2.041 8.589 6.033  -0.168
O12 -2.257 8.911 4.660  0.019
H52 -4.874 8.389 5.891  0.137
H53 -4.898 10.188 5.908  0.133
H54 -3.369 8.842 7.745  0.122
........

-- Request --
Your job: copy only the last part of the contents earlier on, starting with the line that has "0.427".

-- Result --
N3 -4.059 4.529 0.427  -0.150
C23 -5.264 4.046 1.204  -0.115
C24 -3.122 5.271 1.387  -0.263
C25 -3.112 6.913 1.584  -0.023
O3 -2.269 4.495 2.109  -0.041
C26 -2.405 3.853 -1.596  -0.011
C27 -2.397 5.451 -2.075  -0.132
C28 -3.237 5.533 -3.504  -0.102
C29 -4.767 4.935 -3.406  -0.258
O4 -5.014 3.682 -3.874  -0.055
O5 -5.946 5.671 -2.886  -0.029
C30 -1.536 2.670 -2.390  -0.051
C31 -0.618 3.110 -3.684  -0.096
C32 -2.631 -1.006 -0.178  -0.199
O6 -3.802 -1.422 0.304  -0.046
H1 3.381 0.229 1.676  0.089
H2 4.469 1.317 0.449  0.064
H3 2.767 1.954 1.206  0.082
H4 1.910 1.303 -0.989  0.102
H5 1.677 -0.305 0.032  0.100
H6 3.628 -1.552 -1.110  0.106
H7 4.408 0.090 -1.641  0.113
H8 3.605 -0.402 -3.817  0.127
H9 2.009 0.443 -3.247  0.110
H10 2.588 -2.554 -3.619  0.103
H11 3.340 -4.394 -0.679  0.090
H12 2.416 -5.191 -3.518  0.131
H13 1.412 -5.849 -2.062  0.096
H14 3.774 -7.330 -2.875  0.072
H15 3.590 -6.993 -0.938  0.091
H16 4.696 -5.907 -2.012  0.089
H17 -0.709 -6.024 -1.322  0.091
H18 -1.800 -6.578 0.112  0.089
H19 -0.772 -7.843 -0.835  0.048
H20 -1.914 -2.569 2.389  0.144
H21 -2.926 -3.681 1.259  0.143
H22 -0.472 -4.892 3.150  0.120
H23 -1.848 -5.826 2.163  0.117
H24 -2.917 -3.860 3.967  0.093
H25 -4.050 1.493 1.128  0.098
H26 -5.709 4.970 1.814  0.109
H27 -4.963 3.254 2.038  0.099
H28 -6.143 3.633 0.523  0.113
H29 -2.323 7.236 2.413  0.099
H30 -4.172 7.352 1.889  0.093
H31 -2.789 7.462 0.588  0.088
H32 -1.287 5.775 -2.345  0.125
H33 -2.829 6.172 -1.246  0.096
H34 -3.331 6.642 -3.920  0.137
H35 -2.701 4.918 -4.374  0.120
H36 -6.459 5.114 -2.220  0.124
H37 -0.963 2.507 -4.645  0.098
H38 0.535 2.874 -3.530  0.090
H39 -0.667 4.271 -3.928  0.071
O7 -2.445 6.721 -7.214  0.089
C33 -3.043 5.749 -7.644  -0.466
C34 -4.533 5.601 -7.703  -0.086
C35 -4.695 4.120 -7.932  -0.164
C36 -3.438 3.762 -8.681  -0.169
O8 -2.438 4.650 -8.184  0.027
H40 -4.918 6.187 -8.542  0.136
H41 -4.998 5.915 -6.765  0.126
H42 -5.608 3.858 -8.474  0.122
H43 -4.713 3.598 -6.967  0.118
H44 -3.539 3.918 -9.760  0.128
H45 -3.135 2.727 -8.499  0.130
O9 6.147 0.820 1.843  0.077
C37 6.467 1.938 2.212  -0.460
C38 6.596 2.377 3.639  -0.083
C39 6.616 3.879 3.507  -0.171
C40 7.224 4.083 2.145  -0.172
O10 6.801 2.960 1.372  0.026
H46 7.535 1.992 4.048  0.137
H47 5.746 2.038 4.235  0.134
H48 7.169 4.381 4.305  0.120
H49 5.588 4.262 3.516  0.124
H50 8.319 4.093 2.175  0.129
H51 6.874 5.007 1.675  0.128
O11 -4.063 9.544 3.407  0.090
C41 -3.558 9.289 4.488  -0.461
C42 -4.273 9.298 5.805  -0.086
C43 -3.128 9.309 6.786  -0.169
C44 -2.041 8.589 6.033  -0.168
O12 -2.257 8.911 4.660  0.019
H52 -4.874 8.389 5.891  0.137
H53 -4.898 10.188 5.908  0.133
H54 -3.369 8.842 7.745  0.122